-- What to do --
What is needed: retype the data underneath from the line with "3.838" to the end exactly.
-- Excerpt --
<<<
110
Properties=species:S:1:pos:R:3 method="wB97M-V/def2-TZVPD" lumo_ev=0.14 gap_ev=7.7 energy_ev=-72338.0410 largest_force_ev_per_a=1.38 relative_energy_ev=1.142
Sc 0.289 -0.884 -0.779
C -3.537 0.264 1.632
N -2.208 0.491 2.197
C -2.316 0.733 3.634
C -1.559 1.622 1.515
C -0.059 1.709 1.819
N 0.798 1.407 0.662
C 2.177 1.287 1.183
C 3.261 0.825 0.245
C 4.385 1.601 0.046
C 5.456 1.137 -0.714
C 5.344 -0.146 -1.229
C 4.244 -0.991 -1.024
C 3.176 -0.471 -0.291
O 2.028 -1.134 -0.062
C 4.292 -2.394 -1.648
C 3.977 -2.272 -3.144
C 3.309 -3.390 -1.021
C 5.698 -3.004 -1.485
C 6.711 1.994 -0.883
C 6.339 3.385 -1.410
C 7.713 1.370 -1.854
C 7.393 2.148 0.484
C 0.679 2.544 -0.277
C 1.142 2.354 -1.696
C 2.077 3.227 -2.239
C 2.388 3.188 -3.587
C 1.693 2.266 -4.372
C 0.746 1.374 -3.880
C 0.499 1.407 -2.495
O -0.347 0.539 -1.895
C -0.016 0.424 -4.812
C 0.226 0.736 -6.295
C -1.525 0.545 -4.564
C 0.428 -1.023 -4.580
C 3.428 4.098 -4.240
C 2.770 4.920 -5.356
C 4.047 5.069 -3.236
C 4.544 3.233 -4.842
H -4.180 1.147 1.746
H -4.011 -0.578 2.135
H -3.450 0.032 0.571
H -2.922 1.626 3.838
H -1.333 0.876 4.076
H -2.786 -0.123 4.118
H -2.071 2.555 1.794
H -1.707 1.489 0.442
H 0.187 1.000 2.610
H 0.191 2.708 2.208
H 2.124 0.571 2.008
H 2.478 2.256 1.611
H 4.417 2.589 0.496
H 6.154 -0.525 -1.832
H 2.969 -1.881 -3.294
H 4.035 -3.251 -3.628
H 4.677 -1.600 -3.643
H 2.268 -3.138 -1.209
H 3.449 -3.464 0.059
H 3.504 -4.373 -1.458
H 6.457 -2.494 -2.076
H 5.680 -4.044 -1.818
H 6.011 -2.986 -0.440
H 5.863 3.315 -2.389
H 7.234 4.004 -1.509
H 5.652 3.902 -0.738
H 7.274 1.220 -2.843
H 8.084 0.409 -1.494
H 8.572 2.034 -1.965
H 6.729 2.627 1.206
H 8.294 2.760 0.395
H 7.676 1.173 0.885
H 1.193 3.417 0.158
H -0.380 2.802 -0.327
H 2.558 3.936 -1.577
H 1.913 2.246 -5.429
H -0.051 1.761 -6.549
H -0.390 0.065 -6.896
H 1.264 0.573 -6.589
H -1.858 1.572 -4.734
H -1.793 0.262 -3.548
H -2.061 -0.103 -5.262
H 1.489 -1.137 -4.808
H -0.131 -1.694 -5.239
H 0.250 -1.359 -3.557
H 1.954 5.527 -4.960
H 2.363 4.282 -6.142
H 3.503 5.588 -5.815
H 3.295 5.739 -2.813
H 4.798 5.684 -3.736
H 4.539 4.546 -2.415
H 4.163 2.597 -5.642
H 4.982 2.582 -4.083
H 5.335 3.861 -5.260
C -0.171 -4.441 -2.970
C -0.877 -3.695 -1.840
C -0.919 -4.570 -0.589
C -2.287 -3.299 -2.268
O -0.153 -2.528 -1.545
H -0.720 -5.342 -3.253
H 0.834 -4.730 -2.659
H -0.085 -3.796 -3.845
H -1.516 -4.093 0.193
H 0.095 -4.726 -0.216
H -1.365 -5.545 -0.799
H -2.893 -4.175 -2.511
H -2.241 -2.653 -3.147
H -2.781 -2.749 -1.463
O -0.840 -1.397 0.997
H -0.570 -2.205 1.449
H -1.285 -0.752 1.634

=====

127
Properties=species:S:1:pos:R:3 method="wB97M-V/def2-TZVPD" lumo_ev=-0.10 gap_ev=8.7 energy_ev=-109960.8357 largest_force_ev_per_a=5.33
C 0.072 3.141 7.180
C 1.444 3.633 6.465
O 1.059 4.164 5.173
C 1.955 3.697 4.116
C 1.887 4.558 2.775
C 2.793 3.752 1.679
C 4.375 3.854 1.969
C 5.096 5.110 1.294
F 4.451 6.268 0.785
C 6.521 5.055 1.147
F 7.184 5.204 -0.100
F 7.289 4.800 2.309
O 2.431 5.892 2.832
C 3.179 6.183 4.026
C 0.333 4.728 2.273
C -0.047 3.771 1.032
C -0.149 2.196 1.451
C -1.473 1.479 0.902
C -1.335 -0.105 1.267
O -0.570 -0.850 0.279
C -1.283 -2.014 -0.163
O -0.998 -3.166 0.248
O 0.184 6.095 1.831
C -1.144 6.603 2.049
C -1.189 8.071 1.335
C -2.693 8.493 0.927
C -3.502 9.478 1.927
N -3.201 8.055 -0.215
C -1.539 6.846 3.574
Cl -0.363 7.654 4.738
C -2.807 6.415 4.080
C -3.919 5.669 3.200
Cl -3.252 6.689 5.853
H 0.368 2.560 8.115
H -0.442 2.459 6.401
H -0.622 4.030 7.376
H 2.071 2.696 6.279
H 1.994 4.404 7.116
H 1.554 2.642 3.839
H 3.027 3.494 4.503
H 2.635 4.212 0.631
H 2.549 2.622 1.679
H 4.847 2.917 1.483
H 4.637 3.763 3.090
H 3.642 7.232 3.875
H 2.547 6.249 4.977
H 4.054 5.482 4.244
H -0.400 4.430 3.120
H -1.135 4.057 0.748
H 0.570 3.943 0.090
H 0.750 1.648 0.995
H -0.136 2.086 2.603
H -1.614 1.624 -0.221
H -2.402 1.829 1.491
H -0.748 -0.161 2.264
H -2.355 -0.597 1.467
H -2.130 -1.824 -0.915
H -1.872 5.956 1.455
H -0.882 8.812 2.171
H -0.436 8.159 0.485
H -2.899 9.555 2.907
H -3.469 10.527 1.458
H -4.583 9.160 2.085
H -2.445 7.473 -0.643
>>>
-- Solution --
H -2.922 1.626 3.838
H -1.333 0.876 4.076
H -2.786 -0.123 4.118
H -2.071 2.555 1.794
H -1.707 1.489 0.442
H 0.187 1.000 2.610
H 0.191 2.708 2.208
H 2.124 0.571 2.008
H 2.478 2.256 1.611
H 4.417 2.589 0.496
H 6.154 -0.525 -1.832
H 2.969 -1.881 -3.294
H 4.035 -3.251 -3.628
H 4.677 -1.600 -3.643
H 2.268 -3.138 -1.209
H 3.449 -3.464 0.059
H 3.504 -4.373 -1.458
H 6.457 -2.494 -2.076
H 5.680 -4.044 -1.818
H 6.011 -2.986 -0.440
H 5.863 3.315 -2.389
H 7.234 4.004 -1.509
H 5.652 3.902 -0.738
H 7.274 1.220 -2.843
H 8.084 0.409 -1.494
H 8.572 2.034 -1.965
H 6.729 2.627 1.206
H 8.294 2.760 0.395
H 7.676 1.173 0.885
H 1.193 3.417 0.158
H -0.380 2.802 -0.327
H 2.558 3.936 -1.577
H 1.913 2.246 -5.429
H -0.051 1.761 -6.549
H -0.390 0.065 -6.896
H 1.264 0.573 -6.589
H -1.858 1.572 -4.734
H -1.793 0.262 -3.548
H -2.061 -0.103 -5.262
H 1.489 -1.137 -4.808
H -0.131 -1.694 -5.239
H 0.250 -1.359 -3.557
H 1.954 5.527 -4.960
H 2.363 4.282 -6.142
H 3.503 5.588 -5.815
H 3.295 5.739 -2.813
H 4.798 5.684 -3.736
H 4.539 4.546 -2.415
H 4.163 2.597 -5.642
H 4.982 2.582 -4.083
H 5.335 3.861 -5.260
C -0.171 -4.441 -2.970
C -0.877 -3.695 -1.840
C -0.919 -4.570 -0.589
C -2.287 -3.299 -2.268
O -0.153 -2.528 -1.545
H -0.720 -5.342 -3.253
H 0.834 -4.730 -2.659
H -0.085 -3.796 -3.845
H -1.516 -4.093 0.193
H 0.095 -4.726 -0.216
H -1.365 -5.545 -0.799
H -2.893 -4.175 -2.511
H -2.241 -2.653 -3.147
H -2.781 -2.749 -1.463
O -0.840 -1.397 0.997
H -0.570 -2.205 1.449
H -1.285 -0.752 1.634

=====

127
Properties=species:S:1:pos:R:3 method="wB97M-V/def2-TZVPD" lumo_ev=-0.10 gap_ev=8.7 energy_ev=-109960.8357 largest_force_ev_per_a=5.33
C 0.072 3.141 7.180
C 1.444 3.633 6.465
O 1.059 4.164 5.173
C 1.955 3.697 4.116
C 1.887 4.558 2.775
C 2.793 3.752 1.679
C 4.375 3.854 1.969
C 5.096 5.110 1.294
F 4.451 6.268 0.785
C 6.521 5.055 1.147
F 7.184 5.204 -0.100
F 7.289 4.800 2.309
O 2.431 5.892 2.832
C 3.179 6.183 4.026
C 0.333 4.728 2.273
C -0.047 3.771 1.032
C -0.149 2.196 1.451
C -1.473 1.479 0.902
C -1.335 -0.105 1.267
O -0.570 -0.850 0.279
C -1.283 -2.014 -0.163
O -0.998 -3.166 0.248
O 0.184 6.095 1.831
C -1.144 6.603 2.049
C -1.189 8.071 1.335
C -2.693 8.493 0.927
C -3.502 9.478 1.927
N -3.201 8.055 -0.215
C -1.539 6.846 3.574
Cl -0.363 7.654 4.738
C -2.807 6.415 4.080
C -3.919 5.669 3.200
Cl -3.252 6.689 5.853
H 0.368 2.560 8.115
H -0.442 2.459 6.401
H -0.622 4.030 7.376
H 2.071 2.696 6.279
H 1.994 4.404 7.116
H 1.554 2.642 3.839
H 3.027 3.494 4.503
H 2.635 4.212 0.631
H 2.549 2.622 1.679
H 4.847 2.917 1.483
H 4.637 3.763 3.090
H 3.642 7.232 3.875
H 2.547 6.249 4.977
H 4.054 5.482 4.244
H -0.400 4.430 3.120
H -1.135 4.057 0.748
H 0.570 3.943 0.090
H 0.750 1.648 0.995
H -0.136 2.086 2.603
H -1.614 1.624 -0.221
H -2.402 1.829 1.491
H -0.748 -0.161 2.264
H -2.355 -0.597 1.467
H -2.130 -1.824 -0.915
H -1.872 5.956 1.455
H -0.882 8.812 2.171
H -0.436 8.159 0.485
H -2.899 9.555 2.907
H -3.469 10.527 1.458
H -4.583 9.160 2.085
H -2.445 7.473 -0.643